Spelunky - contact@rockpapershotgun.com (Graham Smith)

How does it handle shopping, I wonder?

The original Spelunky – the free, low resolution Game Maker-made Classic version – is open source. That means it can be broadly modified, which is what Ukrainian programmer Vadim has done in Spelunky SD. The project merges features from the polished remake Spelunky HD with the lo-fi original, most notably adding two-player, online cooperative multiplayer.

… [visit site to read more]

Spelunky - contact@rockpapershotgun.com (Alec Meer)

Oh dear, I’m going to have to buy one of those Xbone pads now that they’re PC-friendly, aren’t I? Too often lately I’ve scowled at a game only to find that it improves immeasurably when played with a gamepad instead. Last week it was Watchunderscoredogs (still a bit dull though, innit?), this week it’s indie Metroid/Spelunky mash-up Crystal Catacombs. All ready to dismiss it, I was, as its core wall-jumping mechanic was a miserable and oft-fatal chore when hung around the space bar, but now I’m rather taken with its odd creatures and caverns and its gently punishing aRPG qualities. … [visit site to read more]

Spelunky - contact@rockpapershotgun.com (Graham Smith)

Also it's so cute.

If you’d rather not read spoilers on whether a cool mod exists, you’d better stop reading this sentence right now because – SPOILERS – it does. If you’d rather not be spoiled as to the name of that mod, you’d probably be better off not reading the rest of this post, really. Because – SPOILERS – it’s called the Blue Frog mod. It’s for Spelunky, and it turns every character sprite in that game – the player, plants, bats, exploding frogs, the ghost, everything – into the blue frog sprite. That sounds initially dumb, but actually it’s clever and great. If you don’t want spoilers as to why, you definitely shouldn’t read on.

… [visit site to read more]


It was less than two months ago that top Spelunky streamer Bananasaurus_Rex smashed through Spelunky's $3,000,000 barrier to take the high score world record. It's an achievement I thought would hold, thanks to the incredible luck of finding a plasma cannon and jetpack on the first two levels. It wasn't to be, as now YamaYamaDingDong has broken that record by just $3,975. More impressively, he did the majority of the run without the level-blasting power of the plasma cannon.

You can watch the run via the archived Twitch stream. Be warned, though: it's over four hours of highly methodical ghost shepherding, gem collecting action.

Thanks, Kotaku.
Spelunky - Valve
Save 66% on Spelunky during this week's Midweek Madness*!

Spelunky is a unique platformer with randomized levels that offer a challenging new experience each time you play. Journey deep underground and explore fantastic places filled with all manner of monsters, traps, and treasure. You'll have complete freedom while you navigate the fully-destructible environments and master their many secrets. To stay or flee, to kill or rescue, to shop or steal... in Spelunky, the choice is yours and so are the consequences!

*Offer ends Friday at 10AM Pacific Time

It was teased a couple months ago, but it's now been released! The Metroid Mod for Spelunky slickly brings the sci-fi world of spacefaring Samus Aran to the subterranean perma-death platformer. It's the best of both worlds: monsters, items, pick-ups, character skins, music, background art, and even the title and menu screens have all been Metroid-ified. The core game, however, is still pure, unfiltered Spelunky. Fans of either game -- or both -- will love it.

From the intro movie to the splash screen to the selection menu, it's clear that modder joey4track did his best to squeeze as much Metroid as he could into Spelunky. Everything from the color scheme to the UI to the music, including background art of the cavern carvings, has been given attention. It all looks great, and is clearly the work of a real Metroid fan.

Can you figure out what everything is before it kills you? If not, after works as well.

Another great touch is in what the modder didn't touch: the gameplay. As far as I can tell, the changes are all aesthetic, and nothing about the core game has been altered. It's still 100% Spelunky. Controls, weapons, enemy speed and behavior, it all still works exactly the same while looking completely different. I found I was immediately running around, jumping, climbing, fighting (also, dying) without ever feeling like I was playing a different game. However! There's a little bit of learning to do.

Spikes look the same. Everything else has gotten slathered in Metroid.

For instance, you might spot a zebesian pacing around below you. You can tell it's a space pirate... but what did it used to be? A skeleton? A caveman? A tiki man? What about that sova (or nova, depending on which Metroid era you come from ) walking back and forth? Is it a reskinned snake, easy to defeat? Or is it a scorpion that's going to leap onto your face? After observing a creature's movement patterns for a moment, you'll probably be able to guess, but re-learning which monster is which becomes its own little mini-game, and freshens up the experience for those of us who are now completely familiar with all of Spelunky's threats.

== Quantum chemistry results that have nothing to do with the piece ==
[1]

Behold the Moai! Or maybe the Moaitroid! Or Metromoai. Whatever. It's the thing the thing is hidden in.

Even once you start learning who is who, it can be tricky. Little spiders are now skrees, which give them the appearance of bats while they're hanging from the ceiling, which means even when you know it's a spider, you'll keep thinking it's a bat until you get used to it. Actual bats appear as wavers, and are much harder to spot while roosting, adding a little extra challenge. It's just enough confusion to slow you down and make you think, which might be a welcome change for players who have become accustomed to letting their reflexes do all the work.

The shopkeeper has changed into a kihunter. Unchanged: still a dick if a boulder touches his shop.

There are some other wonderful touches. The ghost appears as -- naturally -- a giant spectral metroid. Instead of sacrificing to (or angering, as the case may be) Kali, you're now paying tribute to mighty Kraid. Instead of stealing a golden idol from a boulder-trapped carving, you're now stealing a Varia suit upgrade from a carving of a Chozo. Unfortunately, you don't get to wear the Varia suit, it's still just an item to sell. But I love the incorporation of the Metroid themes into the Spelunky ruleset.

High Jump Boots for sacrificing a dog to Kraid? The deity has changed, but not the reward for evil.

And, of course, items common to both games, like bombs and high-jump boots, now look like they did in Metroid. Pickups, loot, and items like rocks, crates, gems have all been replaced with Metroid-style images. And, naturally, all your weapons from whips to shotguns have been replaced, again, just aesthetically. Ropes are still ropes. Good old ropes.

Anubis becomes Ridley? That makes a good amount of sense.

Naturally, I didn't finish a game in the time I played, as I'm not particularly good at Spelunky. Last I heard, Olmec was still Olmec, but you're welcome to confirm or refute that for yourself. In terms of playable characters, you'll have a few different versions of Samus to choose from, and one green bug-lookin' dude whose name I don't know. The modder has mentioned he may add more characters in the future from other games, such as Mario or the Castlevania guy.

Don't do it, Samus! It's not what you think it is!

Look, I can keep on describing how great this mod is while showing you pictures, but it's not really going to come across until you play it. So, if you're a seasoned Spelunker looking to spice up your Daily Challenges, or just a long-time Metroid fan, give it a try.

Installation: It's easy, though you're going to be overwriting Spelunky's original assets, so you'll first want to back up your data folder. On Steam, you can find it in Steam > steamapps > common > Spelunky > Data. Just make a copy of that entire folder and store it somewhere safe. Download the mod from this forum page: just scroll down past the screenshots to the Dropbox link. (I don't want to link directly to his Dropbox). Extract the contents (three folders) into your data folder and replace the files when it asks. Then just start the game and say hello to Samus!

To get your old Spelunky back, you'll have to re-overwrite with your original Data folder contents.
Spelunky high score

Spelunky was our 2013 Game of the Year, and this is why. Streamer/legend Bananasaurus_Rex has beaten the previous, piddly world record of $2,980,000 with a titanic $3,105,850, and all it took was seven-and-a-bit hours of incredibly patient play, a deep understanding of the game and its systems, and a ton of skill. Man, Spelunky is easy. It's the polar opposite of Rex's recent full speedrun, which he completed in just under seven minutes, and you can watch it below if you have most of the day spare (alternatively, you may want to skim it instead). Rex's other achievements include killing the ghost, and making the first successful solo eggplant run.

If you're a Spelunky player and you've not yet plumbed its infinite depths, then for heaven's sake don't watch this video, which reveals almost the full scope of Spelunky's secret-packed world. Achieving that 3-mil score relies on a technique known as ghost mining, which accounts for a good deal of the run and is perhaps not tremendously exciting to watch. The amazing thing about Spelunky is that, even when you know the outcome, watching a run is still a tense-as-hell experience, particularly after so many hours of investment.

Thanks, Eurogamer.
Metroid Spelunky Mod

My favorite thing about Spelunky, our 2013 Game of the Year, is how endlessly replayable it is. Between randomly generated levels, Spelunky Death Roulette, and the daily challenge, there's always a reason to come back. If those modes aren't enough for you, an upcoming conversion mod will add character skins, music, levels, and enemies from Metroid.

The creator of the mod, Spelunky forum user joey4track, is still finishing the conversion and will release the mod when all four worlds have been remade. So far, two of the four worlds are complete. Here's what the mines look like so far:

Video via YouTube user AGamerInBrooklyn.

The Spelunky Metroid Mod is a great example of what dedicated fans can do to extend the life of a game for a community. Samus can be skinned in either a couple of variations of the classic armored suit or you can just go as Zero Suit Samus. Equally impressive is the inclusion of a music pack that replaces Spelunky s natural tones with Metroid s 16-bit era midi music that continues to haunt my childhood memories. joey4track says he'll release the mod once all four worlds are complete. In the meantime, you can get the mod's music pack at the Mossmouth forums.
Spelunky update

Image via YouTube user BaerTaffy.

Spelunky, that addictive roguelike that stole our hearts to win our Game of the Year last year, is getting a bit of a facelift. A new update will include an option to enable a smaller, more streamlined user interface, as well as various tweaks and bug fixes. The update is available as of today for download on Steam.

The biggest change in update 1.4 is the optional Pro HUD, which streamlines the heads-up-display by making most information smaller and less obtrusive. The Pro HUD also includes a timer and a current level indicator, which is great news for speedrunners. It s also useful for the rest of us, should we choose to mesure our exact terribleness down to the tenth of a second.

In addition to a ton of bug fixes, the update also includes an invert run option, which sets running as the default option. This is, again, perfect for mad speedrunning fools who sprint around levels without regard to safety.

If you ve been away from Spelunky for a while, this is a great excuse to come back. You can read the full patch notes here.
Spelunky - contact@rockpapershotgun.com (Graham Smith)

Generate millions of levels! Every one of them horrible.

Do you want to compete against your friends at Spelunky, the randomly generated platforming roguelike? That’s what the Daily Challenge is for; each day, a single set of levels is generated which is the same for everyone and which can be played only once.

But if once isn’t enough to satisfy your competitive urges, there’s now Seedlunky HD. The user-created tool lets you set a custom seed from which to generate levels, which you can then share with your friends while you continue to compare your adventures. (more…)
